Brief >
What is needed: return the whole of the calculation results further below exactly.
Input >
/*
(1)
# Tb3InCu
Simulated powder X-ray diffraction pattern, Cu Kα, 1.54184 Å. Input: a crystal structure in Alexandria, relaxed with GGA-PBE.

Main lines, by angle (10 to 90 degrees two-theta):
(hkl), Position (°2θ), I_rel
3 1 1, 24.98, 60.1
1 1 2, 25.29, 29.9
3 1 2, 32.12, 57.5
3 3 1, 33.72, 58.9
0 4 1, 33.82, 78.5
4 2 1, 34.07, 100.0
4 0 2, 36.27, 45.6
0 2 3, 38.37, 78.6

Atomic structure:
Cell: 12.892 11.284 7.739 Å, 90.00 90.00 90.00°
Space group Cmce (No. 64)
Inequivalent atoms, fractional coordinates:
Tb1 0.000 0.073 0.207 x8
Tb2 0.139 0.158 0.594 x16
In1 0.250 0.082 0.250 x8
Cu1 0.000 0.194 0.883 x8

---

(2)
# InCuTc2W
Simulated powder X-ray diffraction pattern, Cu Kα, 1.54184 Å. Input: a crystal structure in Alexandria, relaxed with GGA-PBE.

Main lines, by angle (10 to 90 degrees two-theta):
(hkl), Position (°2θ), I_rel
1 0 0, 18.16, 89.0
1 1 1, 31.55, 100.0
0 0 2, 36.16, 49.9
2 0 0, 36.80, 95.1
2 0 2, 52.54, 67.2
2 2 0, 53.02, 32.7
3 1 1, 63.02, 26.9
2 2 2, 65.86, 33.5

Atomic structure:
Cell: 4.885 4.885 4.968 Å, 90.00 90.00 90.00°
Space group P4/mmm (No. 123)
Inequivalent atoms, fractional coordinates:
In1 0.000 0.000 0.000 x1
Cu1 0.500 0.500 0.500 x1
Tc1 0.000 0.500 0.000 x2
W1 0.000 0.000 0.500 x1

---

(3)
# InCu2Te4
Simulated powder X-ray diffraction pattern, Cu Kα, 1.54184 Å. Input: a crystal structure in Alexandria, relaxed with GGA-PBE.

Main lines, by angle (10 to 90 degrees two-theta):
(hkl), Position (°2θ), I_rel
2 0 0, 20.72, 23.6
0 0 2, 24.89, 46.9
2 2 0, 26.63, 83.9
1 3 0, 27.05, 33.5
0 4 0, 33.47, 93.0
4 0 0, 42.15, 100.0
5 1 -2, 43.54, 27.5
4 4 -2, 48.05, 45.5

Atomic structure:
Cell: 10.715 10.710 8.937 Å, 90.00 126.83 90.00°
Space group C2 (No. 5)
Inequivalent atoms, fractional coordinates:
In1 0.000 0.000 0.000 x2
In2 0.000 0.250 0.500 x2
Cu1 0.002 0.624 0.253 x4
Cu2 0.246 0.875 0.741 x4
Te1 0.009 0.384 0.787 x4
Te2 0.011 0.865 0.290 x4
Te3 0.220 0.633 0.710 x4
Te4 0.223 0.615 0.213 x4
*/
Result >
(1)
# Tb3InCu
Simulated powder X-ray diffraction pattern, Cu Kα, 1.54184 Å. Input: a crystal structure in Alexandria, relaxed with GGA-PBE.

Main lines, by angle (10 to 90 degrees two-theta):
(hkl), Position (°2θ), I_rel
3 1 1, 24.98, 60.1
1 1 2, 25.29, 29.9
3 1 2, 32.12, 57.5
3 3 1, 33.72, 58.9
0 4 1, 33.82, 78.5
4 2 1, 34.07, 100.0
4 0 2, 36.27, 45.6
0 2 3, 38.37, 78.6

Atomic structure:
Cell: 12.892 11.284 7.739 Å, 90.00 90.00 90.00°
Space group Cmce (No. 64)
Inequivalent atoms, fractional coordinates:
Tb1 0.000 0.073 0.207 x8
Tb2 0.139 0.158 0.594 x16
In1 0.250 0.082 0.250 x8
Cu1 0.000 0.194 0.883 x8

---

(2)
# InCuTc2W
Simulated powder X-ray diffraction pattern, Cu Kα, 1.54184 Å. Input: a crystal structure in Alexandria, relaxed with GGA-PBE.

Main lines, by angle (10 to 90 degrees two-theta):
(hkl), Position (°2θ), I_rel
1 0 0, 18.16, 89.0
1 1 1, 31.55, 100.0
0 0 2, 36.16, 49.9
2 0 0, 36.80, 95.1
2 0 2, 52.54, 67.2
2 2 0, 53.02, 32.7
3 1 1, 63.02, 26.9
2 2 2, 65.86, 33.5

Atomic structure:
Cell: 4.885 4.885 4.968 Å, 90.00 90.00 90.00°
Space group P4/mmm (No. 123)
Inequivalent atoms, fractional coordinates:
In1 0.000 0.000 0.000 x1
Cu1 0.500 0.500 0.500 x1
Tc1 0.000 0.500 0.000 x2
W1 0.000 0.000 0.500 x1

---

(3)
# InCu2Te4
Simulated powder X-ray diffraction pattern, Cu Kα, 1.54184 Å. Input: a crystal structure in Alexandria, relaxed with GGA-PBE.

Main lines, by angle (10 to 90 degrees two-theta):
(hkl), Position (°2θ), I_rel
2 0 0, 20.72, 23.6
0 0 2, 24.89, 46.9
2 2 0, 26.63, 83.9
1 3 0, 27.05, 33.5
0 4 0, 33.47, 93.0
4 0 0, 42.15, 100.0
5 1 -2, 43.54, 27.5
4 4 -2, 48.05, 45.5

Atomic structure:
Cell: 10.715 10.710 8.937 Å, 90.00 126.83 90.00°
Space group C2 (No. 5)
Inequivalent atoms, fractional coordinates:
In1 0.000 0.000 0.000 x2
In2 0.000 0.250 0.500 x2
Cu1 0.002 0.624 0.253 x4
Cu2 0.246 0.875 0.741 x4
Te1 0.009 0.384 0.787 x4
Te2 0.011 0.865 0.290 x4
Te3 0.220 0.633 0.710 x4
Te4 0.223 0.615 0.213 x4